DanilaMe 20 Опубликовано 4 июля, 2013 To victorian No offence, sir. Sorry if I hurt anybody's feelings. Next time I'll take what is being offered. Поделиться сообщением Ссылка на сообщение
Lady LG 4 159 Опубликовано 5 июля, 2013 Dear friends, let's brush up our informal English! Don’t take it too serious, please! Не парься. Don't bother about it. Отвали. Don't worry about me. Не вопрос. No problem. Часики у тя есть? Could you tell me the time, please? Ну, входи, раз пришёл. Please come in and make yourself comfortable. Не трещи, помедленнее. Could you speak a bit more slowly, please? Отцепись, кретин! I’m sorry, but I’m afraid I’m very busy at the moment. Ну и дура! What a nice girl! В точку! Exactly! Ага! I see! Да ну? Really? Круто! Great! Отваливаю. Bye. Хорош достал. That's enough. Согласен. I think so. Бред. I don't think so. Хотите на колени встану? I'm so sorry. Это как? What do you mean? Фамилия, как звать? Can I have your name, please? Потрещим за кофем? Would you like some coffee? Хорошо, если так. I hope so. Фигня. It's doesn't matter. Мне паралельно. I don't care. Типа того. Something like this. Я тащусь… I like it very much. Еще раз и по слогам. Could you say it again, please? Решаю проблемы недорого... Can I help you? Ну-ка, вали сюда. Come here, please. Уже в пути. I'm coming. Ну ты ничо. Glad to meet you. Опять ты? Nice to see you again! Я с похмелья. I don't feel very well. Ты что, с дуба рухнул? I don’t think it’s a good idea. Я сваливаю. I'm sorry I have to go now. И почём? How much is it? 2 Поделиться сообщением Ссылка на сообщение
Lady LG 4 159 Опубликовано 5 июля, 2013 (изменено) Easy reading for our guests: The Wooden Bowl Once there lived a very old man. He lived with his son, daughter-in-law and a four-year old grandson. His health was poor. He was half blind, his legs were weak and his hands trembled. Every evening the family gathered in the dining room for supper. But the old grandfather’s shaky hands and sightless eyes made eating rather difficult. Peas rolled off his spoon onto the floor. He often spilt milk or tea on the tablecloth. The daughter-in law got irritated with the mess and said to her husband, “We must do something about grandfather. I’ve had enough of his spilt milk, noisy eating and food on the floor.” The son had to agree. He put a small table in the corner of the kitchen. Now his old father had supper alone while the rest of the family enjoyed their meals in the dining room. The only words he could hear were offensive remarks when he dropped a fork or spilt a drink. Since grandfather had broken some plates, his food was now served in a special wooden bowl. The old man was too weak to say anything against it, but sometimes while eating, tears ran down his wrinkled cheeks. The four-year old boy watched it all in silence. One evening before supper the father saw his little son playing with small planks of wood on the floor. “What are you doing?” he asked. “Oh, I’m making a wooden bowl for you to eat from when you grow old. I’m going to make one more for Mum too,” the boy answered with a smile. The parents blushed with shame. Though no word was said, they both new what must be done next. That evening the man took grandfather by the hand and gently led him back to the family table. For the rest of his life grandfather had meals with the family. And for some reason, neither son nor his wife noticed any longer when a fork was dropped or soup was spilt on the table-cloth. Изменено 5 июля, 2013 пользователем Lady LG 2 Поделиться сообщением Ссылка на сообщение
victorian 8 436 Опубликовано 9 июля, 2013 (изменено) Just for fun: - Do you know why we call our language the mother language? - Because Father never gets a chance to use it. **** She: I remember the time when you were just crazy to marry me. He: So do I, but I didn`t realize it at that time. Изменено 9 июля, 2013 пользователем victorian 1 Don`t worry! Be happy! Да кто я такой, чтобы себе отказывать! Поделиться сообщением Ссылка на сообщение
DanilaMe 20 Опубликовано 9 июля, 2013 She: I remember the time when you were just crazy to marry me. He: So do I, but I didn`t realize it at that time. That's a good one! ) Поделиться сообщением Ссылка на сообщение
Lady LG 4 159 Опубликовано 9 июля, 2013 (изменено) That's a good one! ) I like it too. Dear friends! A year or two ago we had some funny tasks connected with translation from English into Russian and vice versa. Do you remember? You know, students are fond of using electronic translators and the trouble is that they don't usually bother their heads about what they write or say. Sometimes their sentences sound so absurd that we don't know whether to laugh or cry. I suggest that we should do some similar translations and guess what the student says. Let's relax and enjoy ourselves. Example: “In Britain cricket is popular with men and women.” “В Британии крикет популярен среди людей и женщин.” 1. “He crossed the river by boat” The student translates: ……………………………………………. 2. “Nina is free on Saturdays The student translates: ……………………………………………...... 3. Koalas eat leaves and bark from the trees The student translates: ……………………………………………. Come on! The winner will be given a very nice prize! Изменено 9 июля, 2013 пользователем Lady LG 1 Поделиться сообщением Ссылка на сообщение
Molly Malone 4 448 Опубликовано 9 июля, 2013 3. Koalas eat leaves and bark from the trees The student translates: ……………………………………………. Коалы кушают листочки и лают с деревьев гав-гав “He crossed the river by boat” The student translates: ……………………………………………. Он рассердил речку лодкой “Nina is free on Saturdays The student translates: ……………………………………………...... По субботам Нина бесплатно 2 Поделиться сообщением Ссылка на сообщение
Lady LG 4 159 Опубликовано 9 июля, 2013 Yes, Molly! And I want to present you with a magic weather forecasting stone. Place it in your garden near the rose bush. You see, weather forecasts are so unreliable nowadays... 2 Поделиться сообщением Ссылка на сообщение
DanilaMe 20 Опубликовано 9 июля, 2013 Yes, Molly! And I want to present you with a magic weather forecasting stone. Place it in your garden near the rose bush. You see, weather forecasts are so unreliable nowadays... What a funny artefact! Sometimes such stones are much more accurate then weather forecast! ) Поделиться сообщением Ссылка на сообщение
Lady LG 4 159 Опубликовано 9 июля, 2013 “He crossed the river by boat” The student translates: ……………. Он рассердил речку лодкой Thank you, Molly! Your answer enlarged my collection of "perls", but the student's translation was different. Make another attempt! I'm sure you"ll succeed! So, this task is still here waiting for you and the others! 1. “He crossed the river by boat” The student translates: ……………………………………. And two more “guess what the student says” tasks: 1. He missed the bus – The student translates: ……………………………. 2. This service is free of charge – The student translates: ………………….. Good luck! Have fun! Поделиться сообщением Ссылка на сообщение
DanilaMe 20 Опубликовано 9 июля, 2013 (изменено) Thank you, Molly! Your answer enlarged my collection of "perls", but the student's translation was different. Make another attempt! I'm sure you"ll succeed! So, this task is still here waiting for you and the others! And two more “guess what the student says” tasks: 1. He missed the bus – The student translates: ……………………………. 2. This service is free of charge – The student translates: ………………….. Good luck! Have fun! IMHO making fun of student mistakes may discourage a lot of beginners who want to study English. Besides these tasks don't seem to have any educational value but provide entertainment for a very limited number of people. Making mistakes is quite natural if you are learning new stuff. Why don't we switch to tasks that are not capitalizing on someone's weaknesses? Изменено 9 июля, 2013 пользователем DanilaMe Поделиться сообщением Ссылка на сообщение
Data records, as found in the file:
'''
A relaxed La2H2SI crystal. Source: the Alexandria database, functional PBE-GGA.

## Properties
V in A^3/atom: 21.05
DFT total energy in eV per atom: -5.011
DOS(E_F) in states/eV per cell: 2.87

a b c (Å): 4.0870 4.0870 8.7305
angles (deg): 90.00 90.00 120.00
Fractional positions:
La 0.3333 0.6667 0.7020
La 0.6667 0.3333 0.2980
H 0.3333 0.6667 0.2627
H 0.6667 0.3333 0.7373
S 0.0000 0.0000 0.5000
'''
Lady LG 4 159 Опубликовано 9 июля, 2013 DanilaMe The main rule of our club is: “Be polite and friendly.” We’ve never broken it and we’ve never laughed at other people’s mistakes. We always answer questions on grammar or vocabulary if there are any. We always encourage beginners. Nobody has been displeased or offended so far. Have you looked through the pages of our club? I don’t think so. Begin from the first one and you’ll understand a lot. Most of the tasks here are rather entertaining than educational. The reason is simple: they are interesting. Do you suggest we should write about economic recession? Who is going to read it? Offer your own tasks, nobody minds. IMHO making fun of student mistakes may discourage a lot of beginners who want to study English. Quite the contrary! I encourage students to work with their own minds and not to use electronic translators. By the way, they enjoy such tasks and always ask for more. My IMHO: it’s impossible to teach anybody English in the forum. It takes time. We can explain some grammar but what for? They can read it in any textbook. We just have a talk and feel comfortable here. We’re all good friends and our club is open to everybody. I accept any constructive criticism addressed to me. Your criticism is the way to my success! Поделиться сообщением Ссылка на сообщение
DanilaMe 20 Опубликовано 10 июля, 2013 Dear LadyLG, I appreciate your prompt reply, and I am happy to participate in further discussion! DanilaMe The main rule of our club is: “Be polite and friendly.” This is a terrific rule, and that is one of the reasons I chose to take part in your peaceful talks. I am a true supporter of it. We’ve never broken it and we’ve never laughed at other people’s mistakes. Well, of course you are not laughing at particular individual's mistakes. However try to look at it from the different perspective. This forum is public, even guests are able to read it, and the audience differs a lot. I am sure that most teenagers and even most young adults would not find a discussion of their mistakes offensive in any way. However, there is a group of individuals that are very sensitive to such issues simply because the older people get the more delicate they are towards their own mistakes. It took a great effort for some of them just to start their English studies mainly because they do not like to make mistakes on public. We always answer questions on grammar or vocabulary if there are any. We always encourage beginners. Nobody has been displeased or offended so far. Have you looked through the pages of our club? I don’t think so. That is absolutely great I have no doubt that you did a great job on the previous pages answering on grammar and vocabulary issues. But I am not questioning that at all. I was just a little bit concerned about impression that some delicate students may have after reading the last pages of the topic. Begin from the first one and you’ll understand a lot. Most of the tasks here are rather entertaining than educational. The reason is simple: they are interesting. Do you suggest we should write about economic recession? Who is going to read it? Offer your own tasks, nobody minds. I do not see anything wrong with entertaining topics. Sometime they are terrific, bright and marvelous! I do not suggest to write about economic recession. Quite the contrary! I encourage students to work with their own minds and not to use electronic translators. By the way, they enjoy such tasks and always ask for more. You seem to have great students who are understanding and grateful. My IMHO: it’s impossible to teach anybody English in the forum. It takes time. We can explain some grammar but what for? They can read it in any textbook. We just have a talk and feel comfortable here. We’re all good friends and our club is open to everybody. Totally agree with you on that matter. It is impossible to teach anybody English here however it is quite possible to encourage people for fruitful self studies. And it takes time. And effort. Usually English clubs are created to inspire English language discussion on different kind of topics. I find it fantastic that instead of just copy and pasting content from the Internet we are practicing good English. So lets stay friends and develop this fertile topic together! PS Does anybody know if it is possible to use apostrophe sign on this forum? It looks like the forum engine makes an automatic correction every time I try to use it, and without informal shortening my messages look too ceremonious. My apologies for that. Поделиться сообщением Ссылка на сообщение
Molly Malone 4 448 Опубликовано 10 июля, 2013 these tasks don't seem to have any educational value but provide entertainment for a very limited number of people. Oh my god...... (yawning) We are not having a FCE tutorial here, this is an English club for fun and entertainment, mostly for people with good sense of humour DanilaMe, why are you so tense? Relax... You need a good relaxing massage 1 Поделиться сообщением Ссылка на сообщение
Molly Malone 4 448 Опубликовано 10 июля, 2013 I was just a little bit concerned about impression that some delicate students may have after reading the last pages of the topic. there is a group of individuals that are very sensitive to such issues simply because the older people get the more delicate they are towards their own mistakes. If those students feel depressed and offended after reading the latest pages of the topic, they are far too delicate. An efficient psychologist may help 1 Поделиться сообщением Ссылка на сообщение